
This week, I thought I would write about autism in women and girls, and why it is important people are aware of the differences between autism in males and females. 

In the past, many people believed that autism was a male disorder. There was even a theory that autism was an extreme version of the male brain (how daft does that sound!). A study in 1981, found that there were 15 times as many boys with autism than girls. Nowadays, it is common knowledge that the ratio is 4:1; however, some studies have also found it to be 3:1. Given this change, and what I know about autism, I see no reason why there would be any difference between men and women’s likeliness of being autistic. I believe that the disparity in diagnosis is not due to a lower prevalence of autism in girls, but rather more of us going undiagnosed (or even misdiagnosed) due to a lack research and knowledge around autism in girls.

When I look back at my childhood, I can see with hindsight many autistic traits that were commonplace in my daily life – but it took until I was sixteen to get diagnosed with ASD. Instead, I was talked about as shy and worried; a perfectionist who was too hard on herself; and an introverted kid. So why is it so hard to get diagnosed with autism as a girl? 

The main reason is that autistic women are more likely to mask. Masking is a coping mechanism – used consciously or unconsciously – to appear non-autistic, or “normal.” Masking could look like practicing conversations in your head (known as scripting) or repeating facial expressions in front of a mirror until you get them right. When you mask you copy the mannerisms and even personalities of those around you, sometimes even to the detriment of your true self. 

It is believed that young autistic girls have higher social motivation and desire to fit in. They will mask and learn to mimic social skills that come intuitively to non-autistic kids. Whereas autistic boys may be more likely to play on their own and to make friends when it is comfortable for them; autistic girls are more likely to hide their autistic traits to fit in and be part of a friendship group. This is perhaps due to the social pressures of young girls’ friendships. This social motivation and high level of masking results in fewer obvious social difficulties, and, in turn, autistic traits not being noticed by parents, doctors, or teachers.  

An example of how I masked was by learning phrases and idioms. I would go to my teacher’s office and ask, “what does this mean?” I would then bank it away in my brain and keep it in mind for future use. Albeit I still sometimes get my phrases mixed up or use them in completely the wrong situation, this a technique I have developed to make socialising easier for me. Masking also impacts how people stim. In women and girls, stimming may look more like twirling your hair or picking your nails. This can be less noticeable compared to other stims such as rocking back-and-forth or flapping your hands.  

# Between two parts of the piece: records of molecules
# 1
Below is an isolated ion of composition C5H14O2PSi and charge -1 at a distorted geometry, with properties calculated with ωB97M-V/def2-TZVPD.

Net charge   -1
HOMO energy   -5.022 eV
Structure (SMILES)   C[Si](C)(C)CC[P@H](=O)[O-]
E   -980.32464 Ha
Kohn-Sham gap   8.8 eV
LUMO   3.74 eV

Geometry (Å):
P 2.5534 0.2469 0.1500
Si -0.6640 0.1946 0.0634
O 1.5403 1.2197 -0.3483
O 3.9577 0.5180 -0.3902
C -0.6193 1.8830 1.1590
C 1.9368 -1.5172 -0.1247
C -0.7197 0.3838 -1.7947
C -2.5727 -0.2808 0.3453
C 0.3207 -1.4131 0.4312
H 0.5577 -1.5985 1.5288
H -0.7961 1.4850 2.2101
H 0.3582 2.4451 0.8845
H -1.3314 -0.4898 -2.1439
H -1.4715 2.5717 0.8469
H -2.8867 -1.0038 -0.4051
H -3.0843 -0.5888 1.2123
H 0.2872 0.1926 -2.0412
H -3.0093 0.6804 0.0955
H -1.0161 1.2078 -2.3339
H 2.3855 -2.4589 0.3313
H 1.8669 -1.7278 -1.2601
H -0.1536 -2.2750 -0.0090
H 2.5602 0.3250 1.5928

---

# 2
Below is a 5-piece molecular cluster, C6H18O4 overall at a distorted geometry, with properties calculated with ωB97M-V/def2-TZVPD.

Net charge   0
HOMO energy   -9.514 eV
Structure (SMILES)   C=CCC(=C)C.O.O.O.O
E   -540.29026 Ha
Kohn-Sham gap   10.0 eV
Energy above the lowest of the compared OMol25 structures with the same formula, charge and spin   1.078 eV
LUMO   0.50 eV

Geometry (Å):
O 0.5783 -0.7551 3.4692
O 1.9867 0.0290 -1.9706
O 2.1135 3.4675 -0.4752
O 0.3724 -1.9090 -3.3380
C -1.5881 -2.4241 -0.7182
C -1.5866 0.0042 -0.0144
C -1.4820 1.6578 1.7891
C 0.6917 0.9778 0.8638
C -0.8090 0.9051 0.9126
C -1.1858 -1.4670 0.0982
H -0.6121 -1.7309 0.9787
H -1.5370 0.3423 -1.0496
H 1.3243 0.2604 1.3824
H -0.2578 -0.4724 3.0713
H 2.7551 3.0192 0.0880
H 2.1804 3.0046 -1.3188
H 0.6937 -2.1111 -2.4488
H 0.8474 -1.4440 2.8457
H -2.5047 1.5379 2.1367
H -1.5610 -3.4997 -0.5428
H -2.2855 -2.3129 -1.5531
H -0.5396 -2.2248 -3.2660
H 0.9716 1.8101 1.5059
H -2.6234 -0.0697 0.2996
H -0.9124 2.3000 2.4616
H 1.0689 1.2398 -0.1161
H 1.2076 0.1336 -2.5384
H 2.6934 -0.2687 -2.5527

---

# 3
Below is C5H6Cl2LaO4RuS as an isolated structure at a distorted geometry, with properties calculated with ωB97M-V/def2-TZVPD.

Net charge   +4
HOMO energy (spin up / spin down)   -23.002 / -24.466 eV
2S+1   6
E   -1938.11042 Ha
Kohn-Sham gap (spin up / spin down)   6.1 / 3.6 eV
LUMO (spin up / spin down)   -16.90 / -20.87 eV
<S²>   8.78

Geometry (Å):
La -2.1317 -1.3569 0.0536
Ru 0.5977 -1.0792 0.6374
Cl -3.5862 -1.7917 -2.0143
Cl 1.1726 -3.1893 1.2142
S 1.4527 1.7178 -0.1832
O 0.5742 -0.2666 3.4994
O -4.1815 -3.5699 2.1503
O -6.1296 -1.1666 -0.0962
O 0.4638 0.5125 -0.5314
C -3.5004 -2.8248 1.5839
C 3.1422 1.0331 -0.2595
C 0.5331 -0.5352 2.3556
C -5.1031 -1.0091 0.3896
C 1.5633 2.5705 -1.7903
H 1.7614 1.8207 -2.5752
H 3.2380 0.3504 -1.1198
H 2.3806 3.3016 -1.6902
H 3.8117 1.9023 -0.3761
H 0.5916 3.0677 -1.9371
H 3.3495 0.5128 0.6895

---

What is the net charge in the first record? -1

=====
# Here the piece continues

One of my key memories from my time in high school, when I was first beginning to struggle with my mental health, was talking to the educational psychologist. I was referred to her for a preliminary assessment for autism, and so she was asking me all these questions about how I found school. I remember her asking me what my favourite subject is, and I said maths and music. She asked if I did my homework, and I said yes, that I loved my maths homework. She then proceeded to tell me to my face that I seemed fine, and she wasn’t going to progress things any further. After that short conversation, she had somehow deciphered that I was coping okay (despite all the signs suggesting otherwise) and that because I liked learning, I didn’t merit any further assessment.  

Being highly academically achieving is another example of masking. In my case, I really did love learning, but I did not like school and everything that surrounded it (the environment, the socialising, the unpredictability). The educational psychologist I talked to didn’t have an understanding of how autism portrays in girls or the fact I could have a conversation because I’d learned how to by observing social situations. If she has asked other questions instead of focusing on my grades – such as “how do you feel before school each morning?” or “do you get upset and distressed often?” – it would’ve been obvious I dreaded school each day and was struggling to cope. 

Furthermore, a lot of the special interests associated with autism – trains, collecting, or roleplay – do not appear in autistic girls. We tend to have more “socially acceptable” (and so less noticeable) interests, such as books, animals, or celebrities. As a kid, I loved reading. I devoured the whole Harry Potter series in 2 weeks. Because this is a common interest, it went unnoticed quite how much I was obsessed with it. I would memorise facts from the books and lecture at my parents about the plots. I would also pretend to be my favourite characters. On the surface, this looked like me being a typical kid and engaging in imaginative play, however – I admired these characters’ ability to make friends and go to school, so I would commit to copying their personality, routines and what they wear. I believed that if I only did what those characters did, despite their fictionality, I would find everything as easy as them. 

Hyper-empathy is also more common in women and girls. It is an outdated myth that autistic people don’t feel empathy, we just show it differently. For me, I took every emotion around me in like a sponge and I was often left overwhelmed and upset. I struggle to separate other people’s emotions from my own, and so simply hearing a story on the news or a friend confiding in me can tip me over the edge. 

A strong sense of justice is also a common autistic trait that a lot of people don’t know about. As a child, I found it hard when people didn’t follow the rules. My parents tell stories of me as a young girl obsessing about instances that I deemed unfair, or refusing to play games with other kids who didn’t play like I did. Even to this day, it upsets me if people do something wrong. It is common for this trait to be seen in young autistic girls as us being bossy or needy, when – in fact – this stems from big emotions, such anxiety and frustration, that autistic people can find hard to deal with. 

So, these are a handful of the traits seen frequently amongst women and girls. Because these traits are not what many people associate with autism, a lot of us will go undiagnosed in childhood and beyond.  

# Next to the piece, the page also holds calculated molecules
'''
Entry from the Open Molecules 2025 dataset: a molecular structure, C25H69O11Zr at a distorted geometry (ωB97M-V with the def2-TZVPD basis set).

```
! RIJCOSX wB97M-V def2-TZVPD def2/J DEFGRID3
* xyz 1 1
Zr 0.2741 0.8062 3.8138
C -0.0755 -0.5119 -0.1642
C -0.2197 0.8862 0.4026
C -1.2046 1.7369 -0.3817
O -0.4000 0.9790 1.7862
H 0.6353 -1.1668 0.3369
H 0.1837 -0.4188 -1.2177
H -1.0393 -1.0320 -0.1209
H 0.7472 1.3581 0.1520
H -1.1526 2.7591 0.0068
H -2.2354 1.3868 -0.3093
H -0.9011 1.8693 -1.4201
C 3.5823 -0.8202 1.6059
C 3.0537 -1.2099 2.9700
C 4.1422 -1.1963 4.0287
O 1.9815 -0.3735 3.3353
H 4.3602 -1.5122 1.2737
H 4.0001 0.1877 1.5850
H 2.8048 -0.9241 0.8445
H 2.7107 -2.2478 2.8832
H 4.6772 -0.2453 4.0631
H 4.8396 -2.0073 3.8155
H 3.7561 -1.3855 5.0323
C -0.8383 -2.5673 2.7623
C -1.0196 -2.1554 4.2226
C 0.1198 -2.7657 5.0410
O -1.1636 -0.7696 4.4308
H -0.8078 -3.6474 2.6543
H 0.0517 -2.0788 2.3523
H -1.6554 -2.1737 2.1501
H -1.9479 -2.6014 4.5954
H 1.0792 -2.3599 4.6965
H 0.1971 -3.8398 4.8613
H 0.0879 -2.6217 6.1217
C -3.6308 -3.9913 -1.0535
C -2.1682 -4.1071 -0.6973
O -1.5920 -5.0814 -1.5452
H -3.7470 -3.9412 -2.1348
H -4.0979 -3.1118 -0.6023
H -4.2029 -4.8266 -0.6475
H -2.0614 -4.4244 0.3475
H -1.6566 -3.1448 -0.8189
H -0.6822 -5.2902 -1.2758
C 1.5183 -3.9216 0.2445
C 2.0257 -5.2942 -0.1327
O 0.9565 -6.0386 -0.7260
H 2.2743 -3.4778 0.8986
H 0.5801 -4.0281 0.7843
H 1.4052 -3.2579 -0.6123
H 2.3979 -5.8450 0.7408
H 2.8801 -5.2479 -0.8207
H 1.2979 -6.9168 -0.9267
C 0.6691 4.4893 -2.0534
C 2.0674 4.7711 -2.5842
O 2.8397 5.4110 -1.5737
H 0.7599 3.9774 -1.0930
H 0.0451 3.9023 -2.7293
H 0.1669 5.4440 -1.8761
H 1.9556 5.3964 -3.4763
H 2.5412 3.8555 -2.9361
H 2.5652 6.3332 -1.5536
C 3.6689 0.3421 -2.2883
C 3.0424 -1.0125 -2.5350
O 3.0864 -1.2451 -3.9420
H 4.7140 0.3643 -2.5994
H 3.6267 0.5108 -1.2072
H 3.1687 1.1418 -2.8319
H 2.0223 -0.9665 -2.1377
H 3.5909 -1.8366 -2.0663
H 2.5739 -2.0343 -4.1480
C -4.6505 -0.8132 1.4097
C -3.7587 0.0410 2.2958
O -3.9644 -0.1590 3.7019
H -5.7119 -0.6096 1.5675
H -4.4934 -1.8796 1.5757
H -4.4414 -0.5809 0.3627
H -3.9820 1.1028 2.1212
H -2.7011 -0.1346 2.0974
H -4.9038 0.0170 3.8424
C 0.3367 0.7382 -4.4382
C -1.0855 0.6753 -4.9500
O -1.0058 0.5538 -6.3690
H 0.8789 1.5953 -4.8457
H 0.8679 -0.1628 -4.7339
H 0.3795 0.9108 -3.3581
H -1.6356 1.5824 -4.6803
H -1.5785 -0.2024 -4.5221
H -1.8642 0.2698 -6.6981
C 1.3252 4.2134 1.7755
C 2.1750 3.0878 2.3582
O 1.6088 2.5813 3.6119
H 0.2877 3.8689 1.7488
H 1.6362 4.4746 0.7679
H 1.3552 5.0621 2.4600
H 3.1908 3.4253 2.5706
H 2.3072 2.2844 1.6337
H 2.0971 3.0674 4.2926
C -4.7258 4.6858 -1.9576
C -3.3809 4.0319 -2.2641
O -2.9452 4.3353 -3.5857
H -4.6825 5.7618 -2.1250
H -4.9119 4.5422 -0.8881
H -5.5406 4.2557 -2.5369
H -3.5266 2.9508 -2.1452
H -2.6490 4.3399 -1.5189
H -3.5316 3.8529 -4.1774
*
```

highest occupied orbital energy = -11.438 eV
F_max = 9.00 eV/Å
E = -50839.762 eV
'''

But why is an early diagnosis so important? 

I’ve heard people compare being undiagnosed to a swan: though we may appear to be swimming along gracefully, under the water we are thrashing about, trying to stay afloat. This metaphor sums up life for me before my diagnosis: just trying to stay afloat. I was surviving, not thriving. 

A diagnosis changed that for me. It gave me a more positive viewpoint of myself. I no longer thought that I just wasn’t trying hard enough, or that there was something inherently wrong with me. I knew I was autistic, and it made the world of difference. My mindset changed from “I cannot cope’ to actually “I’ve been coping really well.” Along with the many “oh, that’s why I do that” moments, I have developed an understanding of myself that allowed me to make decisions – equipped with the knowledge I was autistic – to make my life much easier. 

There have also been a lot of times that I look back on my childhood and think about that little autistic girl that was so overwhelmed daily. My autism seems so obvious to me now; how did people not figure this out sooner? I often wonder what would’ve happened if I had gotten the validation and understanding of myself that came with my diagnosis earlier than I did. Would I have gone through those years of struggle? Would I have still developed mental health issues? Would I be without the trauma that being undiagnosed in school gave me? 

So, as we continue to broaden our understanding of autism, try to be aware of how autism portrays in women and girls and how this can impact our ability to get a diagnosis and the challenges we face.